Time-resolved 3D phase-contrast MRI with three-dimensional velocity encoding (4D Flow MRI) has become increasingly valuable for the evaluation of cardiovascular disease. While cardiothoracic and neurovascular applications have grown rapidly, a limiting factor for abdominal applications is the correction of magnetic eddy current-related background phase error, which can be more challenging to reliably correct in abdominopelvic regions due to complex vascular and soft tissue geometry. Phase-error correction is essential for both quantification of blood flow as well as for visualization.
Radiologists from UC San Diego developed a novel and reliable strategy for training a convolutional neural network (CNN) to learn to identify and estimate a 3D magnetic phase‐error map from 4D Flow MRI data. With this strategy, the CNN does not require any input from a human operator or any algorithm to identify static soft tissue. This correction can then be smoothed, to fully correct magnetic phase‐error while avoid spurious inaccuracies in the CNN inference. The researchers show that this improves measurement of blood flow with increased consistency and conservation of mass, comparable to what can be achieved with manual phase‐error correction.
Obviates human, manual correction of magnetic phase‐error, which is prone to error.
Unrelated to this text: records of crystals >
Record 1
Cs4SiTcS6: calculated XRD peak list (CuKα), based on a DFT-relaxed cell (PBE, OQMD).

Atomic structure:
```
data_Cs4SiTcS6
_chemical_formula_sum 'Cs4 Si1 Tc1 S6'
_cell_length_a 7.2395
_cell_length_b 7.7139
_cell_length_c 9.0838
_cell_angle_alpha 72.75
_cell_angle_beta 68.66
_cell_angle_gamma 65.19
_symmetry_space_group_name_H-M 'P 1'
_symmetry_Int_Tables_number 1
loop_
_symmetry_equiv_pos_as_xyz
'x,y,z'
loop_
_atom_site_label
_atom_site_fract_x
_atom_site_fract_y
_atom_site_fract_z
_atom_site_occupancy
Cs1 0.0000 0.0000 0.0000 1
Cs2 0.1698 0.3884 0.2900 1
Cs3 0.4125 0.7631 0.4623 1
Cs4 0.7424 0.6429 0.8399 1
Si1 0.4491 0.2590 0.8320 1
Tc1 0.7076 0.1454 0.4661 1
S1 0.2663 0.5459 0.8718 1
S2 0.3803 0.1786 0.6455 1
S3 0.4603 0.0450 0.0388 1
S4 0.6975 0.3658 0.2482 1
S5 0.7672 0.2337 0.6606 1
S6 0.8967 0.8445 0.4259 1
```

Main lines, sorted by position (2θ from 5° to 70°):
2θ 19.84, I = 25; 2θ 20.78, I = 21; 2θ 21.31, I = 19; 2θ 23.87, I = 36; 2θ 24.66, I = 100; 2θ 26.22, I = 46; 2θ 26.78, I = 50; 2θ 32.33, I = 15; 2θ 32.62, I = 17; 2θ 36.72, I = 20; 2θ 42.49, I = 18; 2θ 50.51, I = 12


Record 2
TeMoSeS2Br: calculated XRD peak list (CuKα), based on a DFT-relaxed cell (PBE, OQMD).

Atomic structure:
```
data_TeMoSeS2Br
_chemical_formula_sum 'Te2 Mo2 Se2 S4 Br2'
_cell_length_a 6.4570
_cell_length_b 8.0825
_cell_length_c 8.2148
_cell_angle_alpha 105.61
_cell_angle_beta 104.59
_cell_angle_gamma 113.34
_symmetry_space_group_name_H-M 'P 1'
_symmetry_Int_Tables_number 1
loop_
_symmetry_equiv_pos_as_xyz
'x,y,z'
loop_
_atom_site_label
_atom_site_fract_x
_atom_site_fract_y
_atom_site_fract_z
_atom_site_occupancy
Te1 0.2114 0.2568 0.2639 1
Te2 0.7886 0.7432 0.7361 1
Mo1 0.2785 0.0005 0.0008 1
Mo2 0.7215 0.9995 0.9992 1
Se1 0.3321 0.8549 0.7059 1
Se2 0.6679 0.1451 0.2941 1
S1 0.0052 0.8977 0.1756 1
S2 0.3252 0.7077 0.9098 1
S3 0.6748 0.2923 0.0902 1
S4 0.9948 0.1023 0.8244 1
Br1 0.4022 0.6408 0.2528 1
Br2 0.5978 0.3592 0.7472 1
```

Main lines, sorted by position (2θ from 5° to 70°):
2θ 12.24, I = 37; 2θ 13.11, I = 30; 2θ 13.73, I = 100; 2θ 24.02, I = 24; 2θ 24.62, I = 19; 2θ 27.99, I = 19; 2θ 32.46, I = 18; 2θ 33.60, I = 18; 2θ 34.41, I = 28; 2θ 38.64, I = 18; 2θ 40.25, I = 19; 2θ 41.61, I = 18


Record 3
In2CoSe3S: calculated XRD peak list (CuKα), based on a DFT-relaxed cell (PBE, OQMD).

Atomic structure:
```
data_In2CoSe3S
_chemical_formula_sum 'In2 Co1 Se3 S1'
_cell_length_a 5.6826
_cell_length_b 5.6970
_cell_length_c 7.0091
_cell_angle_alpha 66.28
_cell_angle_beta 66.34
_cell_angle_gamma 89.35
_symmetry_space_group_name_H-M 'P 1'
_symmetry_Int_Tables_number 1
loop_
_symmetry_equiv_pos_as_xyz
'x,y,z'
loop_
_atom_site_label
_atom_site_fract_x
_atom_site_fract_y
_atom_site_fract_z
_atom_site_occupancy
In1 0.0000 0.0000 0.0000 1
In2 0.2483 0.7547 0.5071 1
Co1 0.4909 0.5108 0.9971 1
Se1 0.1135 0.1699 0.2580 1
Se2 0.6255 0.5832 0.2562 1
Se3 0.8343 0.3790 0.7421 1
S1 0.3956 0.8673 0.7601 1
```

Main lines, sorted by position (2θ from 5° to 70°):
The invention automatically corrects background magnetic phase‐error (also known as eddy‐current related phase‐error) in MRI images, which is critical for measurement of blood flow by 4D Flow MRI. This resolves a long‐standing issue where human, manual soft tissue selection is currently required to perform this correction. We first illustrate this in abdominopelvic 4D Flow MRI exams, anticipating this will be the hardest to solve, but expect that it will work just as effectively in neurovascular and cardiothoracic and other applications of 4D Flow MRI.
What comes next are data records, not part of the text:
<<<
This entry pairs a crystal structure of Ac6GeTe3S2 with its calculated powder XRD pattern. Radiation: Cu Ka. Structure: a crystal structure in Alexandria, relaxed with PBE.
No peak broadening, texture or thermal motion is included.

Structure:
```
Ac6GeTe3S2
1.0
3.9075 -6.7645 0.0000
3.9075 6.7645 0.0000
-2.6029 0.0000 7.7254
Ac Ge Te S
6 1 3 2
Cartesian
-0.0031 2.2640 6.0349
1.2909 0.0000 1.6840
-0.0031 -2.2640 6.0349
5.2152 2.2640 1.6906
3.9212 0.0000 6.0415
5.2152 -2.2640 1.6906
3.9075 0.0000 0.0000
-1.3015 0.0000 3.8627
2.6061 2.2405 3.8627
2.6061 -2.2405 3.8627
3.9075 4.5049 0.0000
3.9075 -4.5049 0.0000
```

Principal peaks in the range 2θ = 10–90°, sorted by position:
- 2θ 23.05, d = 3.859 Å, I = 12
- 2θ 24.04, d = 3.702 Å, I = 27
- 2θ 27.54, d = 3.239 Å, I = 100
- 2θ 29.91, d = 2.987 Å, I = 11
- 2θ 38.69, d = 2.327 Å, I = 35
- 2θ 39.97, d = 2.255 Å, I = 39
- 2θ 49.23, d = 1.851 Å, I = 21
- 2θ 56.82, d = 1.620 Å, I = 18
- 2θ 63.41, d = 1.467 Å, I = 13
- 2θ 65.20, d = 1.431 Å, I = 19

----------

# 1
# NdErO4
Theoretical powder diffractogram, Cu Kα, 1.54184 Å. Input: a crystal structure in OQMD, relaxed with GGA-PBE.
No peak broadening, texture or thermal motion is included.

Most intense lines, 5° ≤ 2θ ≤ 70°, sorted by position:
26.5 deg, I 32
27.0 deg, I 17
28.8 deg, I 46
29.9 deg, I 100
31.5 deg, I 37
31.7 deg, I 28
41.1 deg, I 17
47.1 deg, I 29
48.1 deg, I 19
50.8 deg, I 27

Cell and atoms:
```
NdErO4
1.0
3.390 -1.893 0.000
3.390 1.893 0.000
-0.745 0.000 6.194
Nd Er O
1 1 4
Direct
0.000 0.000 0.000
0.375 0.375 0.460
0.042 0.042 0.388
0.337 0.337 0.099
0.605 0.605 0.779
0.779 0.779 0.656
```

***

# 2
# PrCdInSe3
Theoretical powder diffractogram, Cu Kα, 1.54184 Å. Input: a crystal structure in OQMD, relaxed with GGA-PBE.
No peak broadening, texture or thermal motion is included.

Most intense lines, 5° ≤ 2θ ≤ 70°, sorted by position:
12.3 deg, I 43
28.7 deg, I 100
31.7 deg, I 50
33.1 deg, I 44
33.3 deg, I 21
40.6 deg, I 42
41.5 deg, I 34
44.3 deg, I 28
45.9 deg, I 20
68.0 deg, I 18

Cell and atoms:
```
PrCdInSe3
1.0
14.443 0.000 0.000
0.000 4.350 0.000
0.000 0.000 11.664
Pr Cd In Se
4 4 4 12
Direct
0.030 0.250 0.156
0.470 0.750 0.656
0.530 0.250 0.344
0.970 0.750 0.844
0.024 0.750 0.399
0.476 0.250 0.899
0.524 0.750 0.101
0.976 0.250 0.601
0.248 0.250 0.462
0.252 0.750 0.962
0.748 0.250 0.038
0.752 0.750 0.538
0.088 0.750 0.620
0.102 0.250 0.921
0.155 0.750 0.237
0.345 0.250 0.737
0.398 0.750 0.421
0.412 0.250 0.120
0.588 0.750 0.880
0.602 0.250 0.579
0.655 0.750 0.263
0.845 0.250 0.763
0.898 0.750 0.079
0.912 0.250 0.380
```

***

# 3
# Ni14W
Theoretical powder diffractogram, Cu Kα, 1.54184 Å. Input: a crystal structure in OQMD, relaxed with GGA-PBE.
No peak broadening, texture or thermal motion is included.

Most intense lines, 5° ≤ 2θ ≤ 70°, sorted by position:
14.5 deg, I 20
22.1 deg, I 26
39.6 deg, I 23
43.1 deg, I 59
44.4 deg, I 38
45.0 deg, I 41
46.3 deg, I 43
47.7 deg, I 100
48.9 deg, I 31
52.3 deg, I 25

Cell and atoms:
```
>>>
UC San Diego is seeking partners to commercially develop this patent-pending technology. Currently, worldwide patent rights are available.
• Someone pasted materials data at this point:
'''
Theoretical X-ray powder pattern of CsNi2F6 for copper Kα, from a structure optimized by DFT (GGA+U).
Neutral-atom scattering factors, no anomalous dispersion.

Largest 6 diffraction maxima, by intensity, 2θ = 15–90°:
d (Å)  Position (°2θ)  I (rel.)
3.106  28.7  100
1.821  50.1  37
3.642  24.4  33
1.982  45.8  31
1.341  70.2  23
2.974  30.1  19

```
CsNi2F6
1.0
0.0000 5.1507 5.1507
5.1507 0.0000 5.1507
5.1507 5.1507 0.0000
Cs Ni F
2 4 12
Cartesian
1.2877 1.2877 1.2877
9.0136 9.0136 9.0136
5.1507 2.5753 2.5753
2.5753 5.1507 2.5753
2.5753 2.5753 5.1507
5.1507 5.1507 5.1507
3.8630 3.8630 1.8644
3.8630 1.8644 3.8630
5.8615 3.8630 3.8630
6.4383 6.4383 4.4398
6.4383 4.4398 6.4383
8.4369 6.4383 6.4383
1.8644 3.8630 3.8630
3.8630 5.8615 3.8630
3.8630 3.8630 5.8615
4.4398 6.4383 6.4383
6.4383 8.4369 6.4383
6.4383 6.4383 8.4369
```
'''
Legend for Figure: Effect of background phase-error correction on flow visualization. In a patient with cirrhosis and severe portal hypertension, a coronal view of the abdomen shows portosystemic shunting through variceal vessels (red arrows) that are difficult to discern in (a) prior to correction, but clearly visualized in (b) following correction. Normal anatomy, including the main portal vein (green arrows), is also better visualized.
4d flow, cardiovascular, MRI, phase error, eddy current